Activity:
Your job: quote the part of the notes further below that starts with the line with "-3.42836 -0.042" and stops after the one with "-0.67983 0.96499".
Given:
/*
1.
14
Properties=species:S:1:pos:R:3:forces:R:3:mulliken_charge:R:1 method="wB97M-V/def2-TZVPD" homo_lumo_gap_ev=9.722 e_lumo_ha=0.023 total_charge=0 fmax_ev_per_a=2.6 homo_energy_ha=-0.3346 relative_energy_kj_mol=345.4 energy_ha=-287.455667 smiles="C=C1CC(C#N)C1"
N -1.20715 2.84746 -1.61270 0.308 -0.623 0.629 -0.413
C -0.82102 2.08600 -0.83343 -0.358 0.775 -0.668 -0.105
C -0.32722 1.09977 0.11025 -0.143 0.449 0.023 0.404
C 0.97536 0.34740 -0.23793 0.211 0.489 0.244 -0.745
C 0.73500 -2.01896 0.80866 0.339 0.300 -1.398 -0.820
C 0.31900 -0.85762 0.31285 0.323 0.409 0.127 0.384
C -1.07894 -0.27026 0.18296 -0.079 0.020 -0.101 -0.727
H -0.22206 1.53520 1.10509 -0.202 0.078 -0.092 0.306
H 1.06677 0.20393 -1.32995 -0.029 0.070 0.423 0.241
H 1.93876 0.63209 0.17603 -0.004 0.366 0.005 0.380
H 1.80337 -2.14439 0.96038 -0.073 -0.253 -0.254 0.228
H 0.19072 -2.53659 0.01241 -0.682 -2.184 1.332 0.285
H -1.65693 -0.50274 -0.71606 0.204 0.050 -0.030 0.321
H -1.71566 -0.42129 1.06145 0.185 0.054 -0.241 0.261



2.
14
Properties=species:S:1:pos:R:3:forces:R:3:mulliken_charge:R:1 method="wB97M-V/def2-TZVPD" homo_lumo_gap_ev=8.892 e_lumo_ha=0.037 total_charge=0 fmax_ev_per_a=2.0 homo_energy_ha=-0.2895 relative_energy_kj_mol=154.6 energy_ha=-287.528362 smiles="C=Cc1ccc[nH]1"
C -0.51183 -1.00923 1.70906 0.417 -0.299 0.235 -0.417
C 0.29114 0.07578 1.89207 0.493 -0.693 -0.350 -0.421
N 0.52389 0.67941 0.65663 -0.815 -0.924 0.323 -0.113
C -0.20382 -0.04208 -0.30851 0.522 0.080 0.666 0.336
C -0.86393 -1.03460 0.35193 -1.208 0.303 -0.382 -0.402
C 0.55748 1.00915 -2.37893 -0.169 -0.992 0.237 -0.781
C -0.08118 0.00752 -1.75114 1.112 1.642 -0.248 -0.252
H -0.52573 -1.88695 2.34196 -0.769 0.507 0.518 0.331
H 0.76363 0.26967 2.84128 0.427 0.690 -0.358 0.380
H 1.26408 1.33641 0.50929 0.008 0.145 -0.226 0.209
H -1.79571 -1.40951 -0.05265 0.513 -0.990 -0.239 0.333
H 0.95724 1.83223 -1.80199 -0.067 0.237 -0.230 0.231
H 0.79650 0.91541 -3.42836 -0.042 0.297 -0.045 0.262
H -0.34117 -0.88174 -2.30616 -0.420 -0.004 0.099 0.305



3.
14
Properties=species:S:1:pos:R:3:forces:R:3:mulliken_charge:R:1 method="wB97M-V/def2-TZVPD" homo_lumo_gap_ev=11.294 e_lumo_ha=0.029 total_charge=0 fmax_ev_per_a=4.4 homo_energy_ha=-0.3860 relative_energy_kj_mol=313.0 energy_ha=-287.468025 smiles=C#CC(C)(C)C#N
C -1.47355 -0.84907 -1.97832 2.475 2.318 2.777 -0.205
C -0.77126 -0.23316 -1.18933 0.710 -1.096 -0.125 -0.919
C 0.23809 1.70897 -0.25856 -0.127 0.948 -0.092 -0.078
C 1.54617 -0.34674 0.08128 -2.109 -0.419 0.779 -1.304
C -0.68823 -0.10887 1.27342 2.478 -2.541 -0.518 -1.158
C 0.13708 0.29233 -0.05317 -2.546 -1.295 -0.309 1.570
N 0.27973 2.83199 -0.48115 0.144 0.289 0.087 -0.448
H -2.28126 -0.93164 -2.58797 -1.650 -0.824 -1.619 0.427
H 1.96609 0.19634 0.94040 0.284 -0.686 -0.231 0.365
H 2.12892 -0.20147 -0.79451 0.512 -0.009 -0.709 0.419
H 1.29060 -1.42162 0.26583 0.962 0.829 0.031 0.323
H 0.10226 -0.15088 2.05519 -0.659 0.022 -0.190 0.328
H -0.95808 -1.20440 1.03561 0.120 1.720 0.715 0.304
H -1.51656 0.41822 1.69128 -0.595 0.745 -0.596 0.375



4.
14
Properties=species:S:1:pos:R:3:forces:R:3:mulliken_charge:R:1 method="wB97M-V/def2-TZVPD" homo_lumo_gap_ev="10.323 / 7.645" spin_multiplicity=2 e_lumo_ha="-0.131 / -0.264" total_charge=+1 fmax_ev_per_a=1.1 homo_energy_ha="-0.5100 / -0.5451" relative_energy_kj_mol=0.0 energy_ha=-287.306423
N 1.82267 0.69618 -1.04758 0.614 0.055 -0.363 -0.344
C 0.72522 0.32206 -0.40917 0.702 -0.103 -0.100 1.134
C -0.53021 0.39324 -1.06512 -0.793 0.394 -0.066 -0.396
C -1.63648 -0.13315 -0.45526 -0.067 0.362 -0.575 -0.428
C -1.51927 -0.66090 0.82419 0.560 -0.372 0.869 -0.383
C -0.29889 -0.55435 1.55095 -0.204 -0.750 -0.044 -0.491
C 0.84406 -0.17353 0.93274 -0.081 0.677 -0.165 -0.445
H 2.73087 0.70591 -0.59897 -0.171 -0.122 0.144 0.249
H 1.86230 0.85614 -2.04827 -0.358 0.187 0.162 0.259
H -0.67983 0.96499 -1.98237 0.466 -0.392 0.041 0.350
H -2.57569 -0.06751 -0.99493 -0.016 -0.250 0.290 0.384
H -2.28529 -1.23505 1.32655 -0.432 0.332 -0.218 0.398
*/
Outcome:
H 0.79650 0.91541 -3.42836 -0.042 0.297 -0.045 0.262
H -0.34117 -0.88174 -2.30616 -0.420 -0.004 0.099 0.305



3.
14
Properties=species:S:1:pos:R:3:forces:R:3:mulliken_charge:R:1 method="wB97M-V/def2-TZVPD" homo_lumo_gap_ev=11.294 e_lumo_ha=0.029 total_charge=0 fmax_ev_per_a=4.4 homo_energy_ha=-0.3860 relative_energy_kj_mol=313.0 energy_ha=-287.468025 smiles=C#CC(C)(C)C#N
C -1.47355 -0.84907 -1.97832 2.475 2.318 2.777 -0.205
C -0.77126 -0.23316 -1.18933 0.710 -1.096 -0.125 -0.919
C 0.23809 1.70897 -0.25856 -0.127 0.948 -0.092 -0.078
C 1.54617 -0.34674 0.08128 -2.109 -0.419 0.779 -1.304
C -0.68823 -0.10887 1.27342 2.478 -2.541 -0.518 -1.158
C 0.13708 0.29233 -0.05317 -2.546 -1.295 -0.309 1.570
N 0.27973 2.83199 -0.48115 0.144 0.289 0.087 -0.448
H -2.28126 -0.93164 -2.58797 -1.650 -0.824 -1.619 0.427
H 1.96609 0.19634 0.94040 0.284 -0.686 -0.231 0.365
H 2.12892 -0.20147 -0.79451 0.512 -0.009 -0.709 0.419
H 1.29060 -1.42162 0.26583 0.962 0.829 0.031 0.323
H 0.10226 -0.15088 2.05519 -0.659 0.022 -0.190 0.328
H -0.95808 -1.20440 1.03561 0.120 1.720 0.715 0.304
H -1.51656 0.41822 1.69128 -0.595 0.745 -0.596 0.375



4.
14
Properties=species:S:1:pos:R:3:forces:R:3:mulliken_charge:R:1 method="wB97M-V/def2-TZVPD" homo_lumo_gap_ev="10.323 / 7.645" spin_multiplicity=2 e_lumo_ha="-0.131 / -0.264" total_charge=+1 fmax_ev_per_a=1.1 homo_energy_ha="-0.5100 / -0.5451" relative_energy_kj_mol=0.0 energy_ha=-287.306423
N 1.82267 0.69618 -1.04758 0.614 0.055 -0.363 -0.344
C 0.72522 0.32206 -0.40917 0.702 -0.103 -0.100 1.134
C -0.53021 0.39324 -1.06512 -0.793 0.394 -0.066 -0.396
C -1.63648 -0.13315 -0.45526 -0.067 0.362 -0.575 -0.428
C -1.51927 -0.66090 0.82419 0.560 -0.372 0.869 -0.383
C -0.29889 -0.55435 1.55095 -0.204 -0.750 -0.044 -0.491
C 0.84406 -0.17353 0.93274 -0.081 0.677 -0.165 -0.445
H 2.73087 0.70591 -0.59897 -0.171 -0.122 0.144 0.249
H 1.86230 0.85614 -2.04827 -0.358 0.187 0.162 0.259
H -0.67983 0.96499 -1.98237 0.466 -0.392 0.041 0.350